
  • Lessons,  Spiritual Growth,  Test,  Trial,  Unity

    The World We Live In

    I’ve watched from a distance the culture of anger we see all around us today. Painful as that is, seeing it in the community where I live brings it close to home and breaks my heart. Especially when Christians are angry and violent for a “christian” reason. Seeking justice, but in an un-Christlike manner. A hateful and even threatening manner. But it’s a picture of what we’ve all witnessed across the nation. A hint of truth, a huge dose of untruth, then attacks on social media platforms that are aimed at destroying people. Watching attacks on people they don’t know at all. They believe lies they see or hear from…

  • Lessons,  Spiritual Growth,  Test,  Trial,  What I'm Reading

    Mysterious Purpose

    Why does it sometimes take pain to push us to grow deeper in Christ? If I could answer I’d be really brilliant. I can’t even explain it to myself in a way that totally makes sense because I could never fully explain God’s ways. Why? Because He’s so much wiser than I am and well, you know…He’s so much more in every way than we are. But we do not have to understand Him or fully explain Him to know Him!  As I’ve continued reading chronologically, I am studying Job and although he was a righteous man, the devil was allowed to test him by destroying what was important to…

  • Blessings,  Lessons,  Spiritual Growth,  Test,  Trial,  What I'm Reading

    A “Don’t Worry” Reminder

    At the end of 2022, I got a call from my doctor’s office about needing some follow-up scans to ones I’d had a few days prior. Not a call you want to get right before Christmas…or anytime really. Unfortunately, they couldn’t schedule the scans until after the first week of January. My first thought was, “I have to go through the holidays with this on my mind? Wondering if there is an unexpected something that will change my life in 2023.” Yes, I would have to go through Christmas and New Year’s celebrations without knowing if something was wrong. Then, I remembered another time, years ago, when I got a…

  • Blessings,  Lessons,  Spiritual Growth,  What I'm Reading

    More First of the Year Thoughts

    How are you are at memorizing scripture? I remember when Beth Moore wrote the study, James: Mercy Triumphs. She challenged those who did the study to take the plunge and memorize, along with her, the entire book of James! I was in my late 50’s and thought, “there is NO way.” Well, there IS a way. Because I like an impossible challenge occasionally, I decided to try it. It took over a year to get it, but it happened. So don’t say you are “too old!” Since then, I have continued to memorize chunks of scripture. I was challenged, at the beginning of 2023, by the last part of my…

  • Lessons,  Spiritual Growth

    Looking Ahead

    Do we intentionally make faith more difficult than it is? Sometimes I wonder? As I’ve thought about 2023 and looked ahead as to how I need to grow and make changes, I’ve been drawn back to the “simplicity”, or rather maybe I should say, the single focus, of our faith that leads us to change and growth. In Exodus and Deuteronomy we find God’s 10 commandments given to Moses and all of Israel. The first command, if we get it right, makes all the others possible. Do not have other gods besides me. Exodus 20:3 Sometimes I think I focus on all the others and forget how foundational this really…

'''
{
  "formula": "C5H8N2OS",
  "method": "the ωB97M-V functional and the def2-TZVPD basis",
  "relative_energy_kcal_mol": 105.61,
  "homo_energy_ev": -8.7,
  "total_energy_ev": -21174.0368,
  "fmax_ev_per_a": 4.1,
  "symbols": ["C", "C", "C", "C", "C", "N", "N", "O", "S", "H", "H", "H", "H", "H", "H", "H", "H"],
  "positions_angstrom": [[1.41, 1.39, 0.21], [0.24, 2.19, 0.15], [1.42, 0.07, -0.23], [2.69, -0.79, 0.00], [-3.06, -1.38, -0.04], [-0.95, 1.82, 0.03], [-2.26, -0.28, 0.46], [0.33, -0.56, -0.71], [-1.43, 0.39, -0.63], [2.23, 1.97, 0.67], [0.39, 3.17, 0.43], [2.55, -1.69, -0.46], [2.90, -0.92, 1.13], [3.60, -0.29, -0.52], [-3.39, -2.24, 0.69], [-4.03, -0.94, -0.32], [-2.61, -1.91, -0.86]]
}

* * * * *

No. 1
Computed, not measured: a molecular structure, C12H33FeO6 at a distorted geometry, with wB97M-V/def2-TZVPD.

Each line ends with the Mulliken charge.
Geometry (Å):
Fe  -10.239  15.208  -3.461  -1.760
C  -10.415  16.709  0.515  -0.886
C  -10.554  15.286  -0.018  -0.422
O  -10.143  15.091  -1.386  -0.006
H  -11.122  17.368  0.011  0.130
H  -9.403  17.084  0.360  0.241
H  -10.587  16.863  1.580  0.441
H  -11.578  14.948  0.144  -0.019
H  -10.028  14.621  0.666  0.311
C  -10.022  16.155  -7.827  -1.134
C  -10.976  15.684  -6.754  -1.425
O  -10.517  15.287  -5.495  1.199
H  -10.548  16.424  -8.743  0.373
H  -9.386  15.327  -8.140  0.284
H  -9.312  16.948  -7.594  0.263
H  -11.529  14.887  -7.252  0.212
H  -11.713  16.483  -6.673  0.210
C  -7.060  17.715  -4.704  -1.036
C  -7.078  16.245  -4.240  -0.471
O  -8.236  15.847  -3.523  -0.435
H  -6.839  18.381  -3.870  0.290
H  -8.017  18.000  -5.141  0.126
H  -6.311  17.821  -5.489  0.402
H  -6.193  16.141  -3.613  0.298
H  -6.997  15.582  -5.102  0.229
C  -13.903  13.499  -1.853  -1.547
C  -13.379  14.753  -2.592  -1.746
O  -12.225  14.418  -3.384  2.133
H  -13.922  12.603  -2.473  0.667
H  -14.800  13.741  -1.283  0.464
H  -13.122  13.272  -1.127  0.077
H  -13.076  15.452  -1.812  0.091
H  -14.139  15.222  -3.218  0.572
H  -12.527  13.874  -4.115  -0.227
C  -8.350  12.482  -5.283  -0.838
C  -9.581  12.141  -4.530  -1.156
O  -9.814  13.199  -3.557  1.642
H  -8.096  11.634  -5.919  0.433
H  -7.516  12.738  -4.630  0.253
H  -8.443  13.365  -5.915  0.030
H  -9.509  11.214  -3.962  0.444
H  -10.447  12.106  -5.192  0.149
H  -9.719  12.705  -2.739  -0.132
C  -10.007  18.913  -2.919  -1.350
C  -10.762  18.086  -3.953  -0.022
O  -11.271  17.001  -3.284  0.342
H  -9.520  19.761  -3.401  0.416
H  -9.198  18.313  -2.502  0.161
H  -10.657  19.279  -2.125  0.487
H  -10.114  17.865  -4.801  -0.291
H  -11.531  18.742  -4.360  0.402
H  -11.958  17.335  -2.702  0.132

- multiplicity = 7
- energy (Ha) = -2192.0031
- net charge = -1
- E_HOMO (spin up / spin down) (eV) = 0.652 / -5.212

No. 2
Computed, not measured: a molecular structure, C12H33LiO7 at a distorted geometry, with wB97M-V/def2-TZVPD.

Each line ends with the Mulliken charge.
Geometry (Å):
Li  0.345  0.507  -0.280  0.838
C  3.652  -0.799  1.658  -1.278
'''
### The article goes on

  • Blessings,  Generations,  Lessons,  Spiritual Growth

    Marriage Thoughts Part 2

    Be sure to read back to see part 1 before reading this second post. This continues my encouragement to a young bride, things I wish I’d known when I married. 3. Remember, your first ministry is your family. Serve your spouse without grumbling when you’d rather do something else! This is still something I am praying to achieve: being grateful I have to close his dresser drawers AGAIN for the 5th time today. Doing it is one thing, doing it with gratefulness instead of resentment is another! If you have children, they too are your first ministry, but do not place your children ahead of your spouse. One day, Lord…

  • Blessings,  Generations,  Lessons,  Spiritual Growth

    Marriage Thoughts Part 1

    I had the incredible honor of speaking words of encouragement to my niece at her bridal luncheon this past weekend as she prepared to add a new last name to her own. I was reminded of my own marriage almost 52 years ago and thought about what I wish I’d known. So as I wrote thoughts for her, I decided to share them with you in 2 posts. This is specific for those who are married or may get married.  As I like to call myself, I am an “imperfect woman in God’s perfect plan.” I wish I’d known these things back in 1971. I have learned a lot, but…

  • Beach Lessons,  Blessings,  Lessons,  Spiritual Growth,  Test,  Trial

    2022 Beach Lesson

    So after years of hearing from the Lord when I’m at the beach (just click the “Beach Lessons” category for evidence!), I don’t always hear “new” things, but sometimes I hear old things in a new way. This year that happened. I heard something I know, but with a fresh visual. It came to me in a variety of ways: through a couple of books I was reading, and by watching the shoreline. Life has had lots of twists and turns this year, mostly unexpected ones. Some painful. Some just a nuisance. But even as I’ve waited for resolution and healing, I’ve known that God was in control and had…

  • Blessings,  Lessons,  Spiritual Growth,  Test,  Trial,  What I'm Reading

    My Soul’s Longing

    Something occurred to me recently regarding why I want others to know Jesus and why my heart for discipleship has been a calling now for about 40 years or so. Because it was quite a few years between my salvation and the first time someone personally discipled me and showed me how to grow in Christ, I do not want that to be the story for other new believers. Some days, even during difficult seasons, my time with the Lord just causes my soul to soar and all I can think is, “I so want others to experience this satisfying joy.” A joy that transcends earthly concerns and pain. The…

  • Lessons,  Spiritual Growth,  Test,  Trial,  Waiting

    Lessons from #MoDawg

    Listening has been the theme of some recent posts, today is another. You may know that our 12 year old Yorkie Mo has been blind for about 2 years. Today we took him kayaking, which he loves, and also for a walk in the park. In the past, we let him off the leash to run his legs off. Then he went blind. He still loves the freedom to run. Although we let him off his leash occasionally in an open field, he’s much slower than before, more cautious, and he depends on our voice commands to guide him safely, and so he can locate us. Today as we watched…